(Source)
# C33H48N9OS2Sc

A structure of composition C33H48N9OS2Sc (ωB97M-V/def2-TZVPD, the OMol25 dataset).

Structure (XYZ):
```
94
Properties=species:S:1:pos:R:3
Sc -0.239 -0.836 -0.035
C 4.864 -2.762 -4.121
S 4.588 -2.408 -2.381
C 2.793 -2.513 -2.213
S 1.795 -2.219 -3.535
N 2.555 -2.860 -0.978
N 1.303 -2.706 -0.416
C 0.931 -3.753 0.220
C -0.228 -3.765 1.115
C -0.457 -4.879 1.917
C -1.501 -4.852 2.825
C -2.284 -3.713 2.910
C -1.994 -2.650 2.071
N -1.003 -2.675 1.185
H 5.934 -2.637 -4.289
H 4.307 -2.075 -4.752
H 4.580 -3.786 -4.356
H 1.533 -4.657 0.158
H 0.191 -5.740 1.829
H -1.691 -5.705 3.463
H -3.106 -3.634 3.608
H -2.581 -1.743 2.100
C -2.937 1.005 0.920
N -2.338 0.057 0.000
C -2.984 -0.212 -1.101
C -2.548 -1.207 -1.984
C -3.174 -1.742 -3.123
C -2.391 -2.820 -3.509
C -1.320 -2.880 -2.597
N -1.400 -1.915 -1.680
C -4.059 0.449 1.778
C -4.776 -0.695 1.448
C -5.805 -1.145 2.269
C -6.133 -0.457 3.425
C -5.423 0.689 3.762
C -4.398 1.133 2.944
H -3.315 1.883 0.377
H -2.153 1.376 1.578
H -3.891 0.340 -1.364
H -4.088 -1.387 -3.575
H -2.549 -3.485 -4.342
H -0.491 -3.569 -2.605
H -4.526 -1.255 0.556
H -6.350 -2.040 1.997
H -6.933 -0.811 4.062
H -5.667 1.234 4.665
H -3.839 2.022 3.218
C 0.139 0.406 3.612
C 1.250 -0.271 2.810
C 2.485 0.628 2.759
C 1.605 -1.621 3.430
O 0.808 -0.471 1.500
H 0.459 0.623 4.635
H -0.743 -0.238 3.660
H -0.148 1.342 3.127
H 2.861 0.862 3.759
H 2.229 1.562 2.253
H 3.279 0.140 2.192
H 2.023 -1.499 4.432
H 2.339 -2.135 2.807
H 0.715 -2.250 3.505
C 1.894 3.872 -4.028
C 1.778 2.392 -4.371
N 1.950 1.518 -3.218
C 3.315 1.159 -2.839
C 3.806 1.864 -1.580
C 0.904 1.059 -2.501
C -0.478 1.492 -2.889
N 1.022 0.240 -1.506
H 1.656 4.488 -4.896
H 2.906 4.121 -3.707
H 1.211 4.138 -3.219
H 2.547 2.117 -5.095
H 0.828 2.175 -4.853
H 3.956 1.414 -3.683
H 3.388 0.073 -2.742
H 3.848 2.946 -1.725
H 4.807 1.511 -1.327
H 3.155 1.658 -0.729
H -0.524 2.543 -3.169
H -1.142 1.333 -2.047
H -0.827 0.884 -3.727
H 1.977 -0.070 -1.358
C 0.209 5.075 2.261
N 0.918 4.258 1.288
C 2.373 4.329 1.267
C 0.319 3.178 0.807
N -0.206 2.240 0.383
H 0.448 6.126 2.093
H 0.488 4.806 3.284
H -0.862 4.936 2.137
H 2.682 5.339 0.994
H 2.757 3.632 0.527
H 2.795 4.077 2.244
```

Properties
Orbital gap (eV): 6.73
Relative energy (zero: lowest compared OMol25 entry of this formula, charge and spin) (kJ/mol): 42.2
E_tot (a.u.): -3411.5479

Atom charges from the Mulliken analysis, given in e for atoms 1 to 6:
1. Sc -1.978
2. C -0.822
3. S -0.090
4. C 0.272
5. S -0.362
6. N -1.528

=====

# 1
77
Properties=species:S:1:pos:R:3:forces:R:3:lowdin_charge:R:1 method="wB97M-V/def2-TZVPD" e_above_lowest_kj_mol=0.0 charge=-1 homo_lumo_gap_ev=5.462 e_lumo_ev=2.28 mol_weight_g_mol=567.9
H -4.549 -3.470 -2.178 -0.12 0.01 0.14 0.0729
Si -1.382 -5.066 -1.267 0.15 0.05 -0.01 0.3217
H -3.235 -5.011 -3.000 -0.09 -0.08 -0.03 0.0110
H -3.347 -4.865 0.308 0.07 -0.15 0.12 0.0016
H -1.649 -4.748 -3.712 0.11 -0.07 -0.16 0.0195
C 0.610 0.546 3.355 0.01 0.00 -0.04 -0.3222
H -1.301 -7.466 -2.036 0.08 -0.06 -0.16 0.0077
C 1.176 6.969 0.803 0.01 0.03 0.04 -0.5642
P 3.444 -2.343 -0.390 0.18 0.02 -0.10 0.8147
H -1.636 -1.195 2.105 -0.04 0.00 0.01 0.0320
H -6.437 -1.836 0.547 0.06 0.01 0.02 0.0856
C -5.077 -3.349 -1.233 -0.23 -0.29 -0.17 -0.0515
H -1.824 -4.600 1.135 0.14 -0.05 0.19 0.0278
H -4.767 -4.153 -0.557 -0.20 0.16 -0.20 0.0642
C 0.394 6.241 -1.478 0.02 0.02 0.03 -0.0627
H 1.875 -0.452 0.928 0.04 -0.01 0.10 0.0659
H -0.631 -2.183 1.054 0.01 -0.01 -0.02 0.0080
H -0.518 8.212 0.214 -0.03 0.03 -0.07 0.0710
C -3.570 -1.552 -0.923 -0.24 -0.09 0.11 -0.3254
H -0.329 0.754 3.868 -0.04 0.01 0.03 0.0252
H 3.156 7.470 0.070 0.09 -0.05 -0.02 0.0869
H -1.314 -7.379 -0.285 0.07 -0.04 0.15 0.0084
H 1.848 7.214 2.835 0.01 0.04 0.03 0.0786
H -5.108 -0.712 0.891 -0.02 -0.04 0.01 0.0935
H 1.651 4.202 0.936 0.04 -0.03 0.08 0.1072
C 1.235 4.539 0.000 -0.06 0.00 -0.10 0.0545
C -2.276 -4.512 -2.854 0.07 -0.04 0.13 -0.2060
N -2.526 -1.128 -1.135 0.80 0.49 -0.33 0.1795
H 4.475 -4.497 0.199 -0.01 -0.02 0.00 0.0382
(Brief)
The reader should write out only the lines further above with the word "Orbital" in them.
(Solution)
Orbital gap (eV): 6.73